Input >
'''
Entry 1:
Entry from Alexandria: a geometry-optimized ReAs structure (PBEsol).

Cell lengths 3.089, 4.613, 4.675 Å; angles 107.41, 90.00, 109.56 degrees
Element x y z (fractional)
Re  0.868  0.737  0.703
As  0.387  0.775  0.171
Re  0.132  0.263  0.297
As  0.613  0.225  0.829

Values from the calculation:
**Uncorrected energy**: -9.04 eV per atom
**Magnetization**: 0.0 μB per cell
**Distance to the lowest polymorph of the same formula**: 0.122 eV/atom
**Space group**: No. 12
**N(E_F)**: 2.3 states/eV per cell
**DFT formation energy**: 0.175 eV/atom

Entry 2:
Entry from Alexandria: a geometry-optimized Zr2BeSb structure (PBEsol).

Cell lengths 3.284, 3.284, 7.350 Å; angles 90.00, 90.00, 102.97 degrees
Element x y z (fractional)
Sb  0.500  0.500  0.291
Be  0.000  0.000  0.490
Zr  0.000  0.000  0.014
Zr  0.500  0.500  0.705

Values from the calculation:
**Formation energy (no corrections)**: -4 kJ/mol of atoms
**Uncorrected energy**: -6.73 eV per atom
**Magnetization**: 0.0 μB per cell
**Distance to the lowest polymorph of the same formula**: 0.467 eV/atom
**Space group**: No. 35
**N(E_F)**: 4.0 states/eV per cell

Entry 3:
Entry from Alexandria: a geometry-optimized FeSiTc2 structure (PBEsol).

Cell lengths 2.758, 3.754, 4.876 Å; angles 90.00, 89.97, 90.00 degrees
Element x y z (fractional)
Si  0.500  0.500  0.500
Tc  0.000  0.000  0.750
Tc  0.000  0.000  0.250
Fe  0.500  0.500  0.000

Values from the calculation:
**Formation energy (no corrections)**: -10 kJ/mol of atoms
**Uncorrected energy**: -9.41 eV per atom
**Magnetization**: 1.0 μB per cell
**Space group**: No. 47
**N(E_F)**: 3.4 states/eV per cell

Entry 4:
Entry from Alexandria: a geometry-optimized BaLi2Ni2 structure (PBEsol).

Cell lengths 4.218, 4.218, 6.094 Å; angles 110.25, 110.25, 90.00 degrees
Element x y z (fractional)
Ni  0.606  0.606  0.213
Ni  0.394  0.394  0.787
Li  0.250  0.750  0.500
Ba  0.000  0.000  0.000
Li  0.750  0.250  0.500

Values from the calculation:
**Uncorrected energy**: -3.51 eV per atom
**Magnetization**: 0.0 μB per cell
**Space group**: No. 139
**N(E_F)**: 1.7 states/eV per cell
**DFT formation energy**: 0.169 eV/atom

Entry 5:
Entry from Alexandria: a geometry-optimized CsNb3N structure (PBEsol).

Cell lengths 4.945, 4.945, 4.945 Å; angles 90.00, 90.00, 90.00 degrees
Element x y z (fractional)
Nb  0.500  0.000  0.000
N  0.500  0.500  0.500
Cs  0.000  0.000  0.000
Nb  0.000  0.500  0.000
Nb  0.000  0.000  0.500

Values from the calculation:
**Formation energy (no corrections)**: 361 kJ/mol of atoms
**Uncorrected energy**: -4.65 eV per atom
**Magnetization**: 0.0 μB per cell
**Space group**: No. 221
**N(E_F)**: 2.0 states/eV per cell

Entry 6:
Entry from Alexandria: a geometry-optimized ZnAu2I structure (PBEsol).

Cell lengths 4.846, 4.846, 4.846 Å; angles 60.00, 60.00, 60.00 degrees
Element x y z (fractional)
I  0.500  0.500  0.500
Au  0.250  0.250  0.250
Zn  0.000  0.000  0.000
Au  0.750  0.750  0.750

Values from the calculation:
**Formation energy (no corrections)**: 46 kJ/mol of atoms
**Uncorrected energy**: -2.32 eV per atom
**Magnetization**: 0.0 μB per cell
**Space group**: No. 225
**N(E_F)**: 2.9 states/eV per cell

Entry 7:
Entry from Alexandria: a geometry-optimized SmSi2 structure (PBEsol).

Cell lengths 4.016, 4.016, 7.756 Å; angles 105.07, 105.07, 89.94 degrees
Element x y z (fractional)
Sm  0.000  0.000  0.000
Si  0.583  0.583  0.166
Si  0.667  0.167  0.334
Si  0.417  0.417  0.834
Si  0.833  0.333  0.666
Sm  0.250  0.750  0.500

Values from the calculation:
**Formation energy (no corrections)**: -64 kJ/mol of atoms
**Uncorrected energy**: -6.19 eV per atom
**Magnetization**: 0.0 μB per cell
**Space group**: No. 141
**N(E_F)**: 2.6 states/eV per cell

Entry 8:
Entry from Alexandria: a geometry-optimized Si2NiHg structure (PBEsol).

Cell lengths 3.695, 3.695, 5.243 Å; angles 110.49, 110.49, 90.38 degrees
Element x y z (fractional)
Si  0.000  0.500  0.500
Hg  0.500  0.500  0.000
Si  0.500  0.000  0.500
Ni  0.000  0.000  0.000
'''

Job >
Say how many lines of the calculation results further up hold the word "Sm", as a bare number.

Outcome >
2